The reader should transcribe the lines further down from the one with "(No. 9)" to the one with "0.129 0.511" with every line break kept.
____________
Material: Zr4Pt2N
Method: DFT, PBE-GGA
State: relaxed

Cell lengths 8.8987, 8.8987, 8.8987 Å; angles 60.00, 60.00, 60.00 degrees
Fractional coordinates of all 28 atoms:
1 N 0.1250 0.1250 0.6250
2 N 0.1250 0.6250 0.1250
3 N 0.1250 0.1250 0.1250
4 N 0.6250 0.1250 0.1250
5 Pt 0.8436 0.8436 0.4693
6 Pt 0.8436 0.8436 0.8436
7 Pt 0.4064 0.4064 0.7807
8 Pt 0.8436 0.4693 0.8436
9 Pt 0.4064 0.7807 0.4064
10 Pt 0.4064 0.4064 0.4064
11 Pt 0.7807 0.4064 0.4064
12 Pt 0.4693 0.8436 0.8436
13 Zr 0.6250 0.6250 0.6250
14 Zr 0.0677 0.0677 0.4323
15 Zr 0.1823 0.1823 0.8177
16 Zr 0.1250 0.6250 0.6250
17 Zr 0.8177 0.1823 0.1823
18 Zr 0.1823 0.8177 0.1823
19 Zr 0.6250 0.6250 0.1250
20 Zr 0.4323 0.0677 0.0677
21 Zr 0.4323 0.0677 0.4323
22 Zr 0.0677 0.4323 0.0677
23 Zr 0.8177 0.8177 0.1823
24 Zr 0.8177 0.1823 0.8177
25 Zr 0.6250 0.1250 0.6250
26 Zr 0.0677 0.4323 0.4323
27 Zr 0.1823 0.8177 0.8177
28 Zr 0.4323 0.4323 0.0677

ΔE_f: -28.07 kcal/mol of atoms
SG: No. 227
energy: -8.9758 eV per atom

=====

A relaxed structure of Sm6Si4S17, computed with r²SCAN.

Values from the calculation:
- Total energy: -395.3 eV per formula unit

Cell: 8.915 9.852 14.132 Å, 82.03 87.44 88.98°
Space group P-1 (No. 2)
Asymmetric unit:
Sm: 0.011 0.266 0.465 x2
Sm: 0.088 0.581 0.165 x2
Sm: 0.106 0.884 0.814 x2
Sm: 0.336 0.909 0.342 x2
Sm: 0.363 0.560 0.678 x2
Sm: 0.449 0.238 0.002 x2
Si: 0.232 0.940 0.099 x2
Si: 0.249 0.559 0.923 x2
Si: 0.250 0.001 0.583 x2
Si: 0.280 0.555 0.392 x2
S: 0.010 0.875 0.117 x2
S: 0.015 0.993 0.622 x2
S: 0.039 0.651 0.952 x2
S: 0.061 0.642 0.719 x2
S: 0.111 0.702 0.342 x2
S: 0.184 0.478 0.530 x2
S: 0.251 0.116 0.169 x2
S: 0.255 0.381 0.851 x2
S: 0.301 0.806 0.542 x2
S: 0.303 0.134 0.458 x2
S: 0.316 0.413 0.296 x2
S: 0.321 0.984 0.956 x2
S: 0.341 0.499 0.057 x2
S: 0.355 0.034 0.707 x2
S: 0.371 0.781 0.166 x2
S: 0.380 0.713 0.838 x2
S: 0.487 0.653 0.398 x2

---

A relaxed structure of Sm4Si3S12, computed with r²SCAN.

Values from the calculation:
- Total energy: -272.6 eV per formula unit

Cell: 19.0883 19.0883 7.8646 Å, 90.00 90.00 120.00°
Space group R3c (No. 161, hexagonal axes)
Asymmetric unit:
Sm: 0.0000 0.0000 0.0000 x6
Sm: 0.1049 0.4335 0.4551 x18
Si: 0.0133 0.1992 0.3402 x18
S: 0.0001 0.2681 0.1445 x18
S: 0.0471 0.4855 0.1648 x18
S: 0.0616 0.1249 0.2509 x18
S: 0.2022 0.0847 0.4915 x18

---

A relaxed structure of Sr2SiS4, computed with r²SCAN.

Values from the calculation:
- Total energy: -83.7 eV per formula unit

Cell: 6.609 6.660 8.262 Å, 90.00 108.22 90.00°
Space group P2_1/m (No. 11)
Asymmetric unit:
Sr: 0.216 0.250 0.048 x2
Sr: 0.275 0.250 0.571 x2
Si: 0.221 0.750 0.797 x2
S: 0.010 0.502 0.737 x4
S: 0.386 0.750 0.062 x2
S: 0.417 0.750 0.636 x2

---

A relaxed structure of Tb4Si3S12, computed with r²SCAN.

Values from the calculation:
- Total energy: -278.6 eV per formula unit

Cell: 9.895 11.047 17.199 Å, 90.00 110.80 90.00°
Space group P2_1/c (No. 14)
Asymmetric unit:
Tb: 0.016 0.018 0.125 x4
Tb: 0.105 0.626 0.133 x4
Tb: 0.316 0.650 0.941 x4
Tb: 0.469 0.239 0.290 x4
Si: 0.024 0.214 0.733 x4
Si: 0.258 0.619 0.560 x4
Si: 0.399 0.050 0.619 x4
S: 0.066 0.542 0.814 x4
S: 0.098 0.741 0.487 x4
S: 0.106 0.211 0.863 x4
S: 0.157 0.666 0.313 x4
S: 0.184 0.056 0.026 x4
S: 0.187 0.222 0.191 x4
S: 0.193 0.024 0.526 x4
S: 0.265 0.652 0.683 x4
S: 0.382 0.525 0.229 x4
S: 0.447 0.065 0.406 x4
S: 0.459 0.656 0.552 x4
S: 0.478 0.227 0.628 x4

---

A relaxed structure of Tl4SiS4, computed with r²SCAN.

Values from the calculation:
- Total energy: -259.3 eV per formula unit

Cell: 12.743 11.423 7.656 Å, 90.00 113.69 90.00°
Space group Cc (No. 9)
Asymmetric unit:
Tl: 0.000 0.005 0.000 x4
Tl: 0.193 0.388 0.591 x4
Tl: 0.335 0.129 0.511 x4
Tl: 0.405 0.217 0.040 x4
Si: 0.120 0.293 0.055 x4
S: 0.021 0.434 0.884 x4
S: 0.039 0.224 0.228 x4
S: 0.139 0.160 0.876 x4
S: 0.284 0.355 0.239 x4

---

A relaxed structure of Y3SiS2, computed with r²SCAN.

Values from the calculation:
- Total energy: -97.0 eV per formula unit
____________
Space group Cc (No. 9)
Asymmetric unit:
Tl: 0.000 0.005 0.000 x4
Tl: 0.193 0.388 0.591 x4
Tl: 0.335 0.129 0.511 x4